WriteSteps Honored with Learning Magazine 2013 Teachers’ Choice Award

WriteSteps has been awarded a Learning® Magazine 2013 Teachers’ Choice℠ Award, just a year after release. Teachers Choice Awards are among the most prestigious honors in the education market. That’s because they are based on the ratings of independent teachers across the country.

“Our mission is to support teachers, so this Teachers Choice Award is incredibly rewarding,” said Founder & CEO Suzanne Klein, a former K-5 teacher herself, on hearing the news.

2013 Teachers Choice Award
WriteSteps will be featured in the January, 2013 issue of Learning Magazine as a winner of a 2013 Teachers Choice Award

According to Heather Crews, coordinator of the Teachers Choice Awards program, of the programs and classroom products reviewed each year, “only those meeting the judges’ stringent standards are chosen. Each program is reviewed on its own merit, according to its effectiveness for all kinds of teachers and students.

Below are all of the comments from the anonymous teacher-judges that used WriteSteps in their classrooms.


What aspects of this product did you like the most?

“I love the way everything you need for the entire year is neatly organized in ONE binder! I also liked the Privacy Folders for the students to use AND the pens for editing and revising are GREAT motivational tools for the students!”

“I loved the use of the multi-color pens with the editing and revising steps of the Writing Process! I had been having a hard time getting my students to truly edit and revise, but with these pens they were VERY excited about finally doing those steps! Great idea!”

“The teacher’s manual is well-organized and easy to read. I also liked that the manual was separated into units. The Kindergarten Sound Cards with the sight words printed on the back were very helpful!”

“This product was full of easy to follow and use lessons. The manual includes samples of what writing expectations look like. The lessons give very clear direct instruction which students just starting to write need. I also enjoyed the videos and other visual aids that were online for us to use. They helped make the expectations of the lessons clear for us as teachers and in turn to our students.”

“This product is amazing! I love the pens that were given to help with the editing process. In the past we have given the students different pens, but I love the idea of the same pen with different colors. I also loved the privacy folders with the aids on the inside.”

“I liked everything about this product. All of the materials are valuable resources to create inspired writers in my classroom.”

“The binder of units included lessons for the teacher to make it very easy to plan and teach writing. There are also many materials for the students to use, such as editing pens, privacy folders, and posters.”


How would this product need to improve to better support your curriculum?

“I really couldn’t find any suggestions for improvements except for maybe laminating the Privacy Folders to make them sturdier. I laminated mine so they would last longer. I also didn’t see where I could reorder the pens when needed so that needs to be made clear as I know the ink will run out and we’ll need more.”

“I have no suggestions for improvements! I would be interested to know if you can order more pens and privacy folders as you need them.”

“This product does not need to be improved! I loved how easy the manual was to read and understand and the website was an excellent additional resource!”

“I think this product does a great job covering our writing curriculum and breaking the curriculum expectations down to where each student can be successful writers.”

“I don’t believe there are any improvements that need to be made. This product directly connects to the third grade curriculum.”

“I was very impressed by this product. I do not feel any changes need to be made to improve it. It is already aligned to the writing core standards.”


How did you make use of the product, or integrate it into your lesson plans?

“The kids loved the privacy folders and said it helped them stay focused on their writing as well as gave them some hints on making their writing better. They REALLY went nuts over the pens which helped make editing and revising more exciting for them. I had NEVER thought of getting pens like that for them to use! GREAT idea!”

“I used some of the writing activities to review Writing steps before we took our state-mandated Writing Tests. It was a great review for them right before testing time and I think it finally clicked with some of them how important it is to do a first draft and then spend time trying to make it “sound better” and “look better.” Many of them have resisted changing anything on the first drafts. They didn’t want to go through the trouble, but when I broke out those pens, they were excited to try to improve their writing! Great idea!”

“I used this product during our writing time each day. We used it toward the end of the school year so we did not start with the beginning units, but we will next year! I especially enjoyed the unit on opinion writing, as that is difficult for kindergartners.”

“I was able to make use of this product often in my classroom. I was able to find lessons that fit where my students were as writers and motivate them to further their writing. This program provided many resources and visual aids that I was able to use with my students who were struggling with writing to help them remember their writing strategies and what to do if they got stuck.”

“I used a few lessons in my classroom and introduced the materials that were given to my current students. They were very impressed and loved using the folders and pens. I can’t wait to use this program from the beginning of next school year!”

“I utilized this product during my writer’s workshop. It was very easy to plan, implement, and pace the lessons from the resource binder that was included.”


What skills did your students learn from this product?

“My students had a review of the Writing Process and also gained a lot of practical tips for making their writing better! They enjoyed editing and revising a LOT more and actually took their time doing this so they could use the pens! It was a very positive experience and I loved seeing them get excited about Writing!”

“They learned a LOT about editing and revising and really taking the time to try to improve their writing. They loved the suggestions in the privacy folders of words they could use in place of some of the boring words they had written! I think overall it just helped them get excited about writing!”

“My students learned how to write about subjects that are not as familiar to them as other topics. My students were not used to writing about poetry or trying to persuade someone else, so this definitely improved their writing skills.”

“I saw my students writing skills and their writing content flourish by using this product! They became more aware of their writing conventions and I saw them begin to use them more consistently. I also saw my students writing content develop more and they could give more details on given topics.”

“They learned the process of editing and revising. Even though we have discussed editing and revising before, the way this product lays this information out really helped my students to grasp the information. They also liked the idea of connecting the 6 + 1 traits of writing to a pizza pie.”

Data records from another source follow =
(1)
BaLiMn3 | Alexandria | GGA-PBE | relaxed; crystal system = cubic; V = 117.6 Å³/cell; offset from the most stable computed form = 0 meV/atom; VASP energy = -5.383 eV/atom
1.0
4.899 0.000 0.000
0.000 4.899 0.000
0.000 0.000 4.899
Ba Li Mn
1 1 3
direct
0.000 0.000 0.000
0.500 0.500 0.500
0.000 0.500 0.500
0.500 0.000 0.500
0.500 0.500 0.000

---

(2)
Mg6AlCd | Alexandria | GGA-PBE | relaxed; crystal system = triclinic; V = 172.7 Å³/cell; offset from the most stable computed form = 25 meV/atom; VASP energy = -1.787 eV/atom
1.0
5.564 0.000 0.000
-0.030 5.564 0.000
-0.044 -0.006 5.580
Mg Al Cd
6 1 1
direct
0.001 0.000 0.251
0.251 0.501 0.499
0.499 0.751 0.002
0.501 0.249 0.998
0.749 0.499 0.501
0.999 0.000 0.749
0.500 0.000 0.500
0.000 0.500 0.000

---

(3)
SrLa2Tc | Alexandria | GGA-PBE | relaxed; crystal system = tetragonal; V = 115.3 Å³/cell; offset from the most stable computed form = 427 meV/atom; VASP energy = -4.946 eV/atom
1.0
5.039 0.000 0.000
0.000 5.039 0.000
0.000 0.000 4.542
Sr La Tc
1 2 1
direct
0.000 0.000 0.000
0.000 0.500 0.500
0.500 0.000 0.500
0.500 0.500 0.000

---

(4)
BaCa2NbN4 | Alexandria | GGA-PBE | relaxed; crystal system = orthorhombic; V = 312.3 Å³/cell; ΔE_f (raw) = -657 kJ/mol of formula units; VASP energy = -7.013 eV/atom
1.0
8.008 0.000 0.000
0.000 6.562 0.000
0.000 0.000 5.944
Ba Ca Nb N
2 4 2 8
direct
0.000 0.161 0.000
0.500 0.839 0.500
0.247 0.328 0.510
0.253 0.672 0.010
0.747 0.672 0.010
0.753 0.328 0.510
0.000 0.810 0.525
0.500 0.190 0.025
0.000 0.110 0.473
0.000 0.782 0.851
0.202 0.673 0.406
0.298 0.327 0.906
0.500 0.218 0.351
0.500 0.890 0.973
0.702 0.327 0.906
0.798 0.673 0.406

---

(5)
PuNi4Sb | Alexandria | GGA-PBE | relaxed; crystal system = cubic; V = 89.0 Å³/cell; ΔE_f (raw) = -127 kJ/mol of formula units; offset from the most stable computed form = 0 meV/atom; VASP energy = -7.150 eV/atom
1.0
0.000 3.543 3.543
3.543 0.000 3.543
3.543 3.543 0.000
Pu Ni Sb
1 4 1
direct
0.000 0.000 0.000
0.374 0.374 0.374
0.374 0.374 0.877
0.374 0.877 0.374
0.877 0.374 0.374
0.750 0.750 0.750

---

(6)
Cs3Dy3PuSe8 | Alexandria | GGA-PBE | relaxed; crystal system = trigonal; V = 524.5 Å³/cell; ΔE_f (raw) = -2375 kJ/mol of formula units; VASP energy = -5.546 eV/atom
1.0
4.213 2.433 8.529
-4.213 2.433 8.529
0.000 -4.865 8.529
Cs Dy Pu Se
3 3 1 8
direct
0.000 0.500 0.500
0.500 0.000 0.500
0.500 0.500 0.000
0.000 0.000 0.500
0.000 0.500 0.000
0.500 0.000 0.000
0.500 0.500 0.500
0.228 0.228 0.228
0.231 0.725 0.725
0.275 0.275 0.769
0.275 0.769 0.275
0.725 0.231 0.725
0.725 0.725 0.231
0.769 0.275 0.275
0.772 0.772 0.772

---

(7)
Nb3ReMo | Alexandria | GGA-PBE | relaxed; crystal system = cubic; V = 110.3 Å³/cell; offset from the most stable computed form = 1747 meV/atom; VASP energy = -9.178 eV/atom
1.0
4.796 0.000 0.000
0.000 4.796 0.000
0.000 0.000 4.796
Nb Re Mo
3 1 1
direct
0.000 0.000 0.500
0.000 0.500 0.000
0.500 0.000 0.000
0.000 0.000 0.000
0.500 0.500 0.500

---

(8)

“My students learned many valuable writing skills. These skills include the six plus one writing traits. My students also learned more about revising and editing their writing.”

If funds were available, would you recommend this product to a teacher at the appropriate grade /age level?

[What comes next are calculated crystals, not part of the entry]
********
Entry 1:
DFT (PBE-GGA) results for an optimized crystal structure of YTeS4.

Structure (POSCAR):
```
YTeS4
1.0
6.217 0.000 0.000
0.000 6.780 0.000
-0.832 0.000 6.852
Y Te S
2 2 8
Cartesian
0.000 0.000 0.000
-0.416 3.390 3.426
2.693 0.000 3.426
3.109 3.390 0.000
0.577 1.086 2.460
0.162 2.304 5.886
1.588 4.883 1.757
1.172 5.287 5.183
4.213 1.493 1.669
3.797 1.897 5.094
5.224 4.476 0.966
4.808 5.694 4.392
```

space-group type	P2_1/c (14)
crystal system	monoclinic
N(E_F)	3.68	states/eV per cell
formation energy from raw total energies	-13.93	kcal/mol of atoms
energy	-4.957	eV per atom

Entry 2:
DFT (PBE-GGA) results for an optimized crystal structure of La2Y3Ga4.

Structure (POSCAR):
```
La2Y3Ga4
1.0
3.506 -8.011 0.000
3.506 8.011 0.000
0.000 0.000 8.699
La Y Ga
4 6 8
Cartesian
3.506 6.286 8.022
3.506 1.725 3.672
3.506 -1.725 5.027
3.506 -6.286 0.677
0.000 0.000 4.350
1.753 3.432 6.524
1.753 -3.432 2.175
3.506 0.000 0.000
5.258 3.432 6.524
5.258 -3.432 2.175
3.506 5.016 4.699
1.753 0.514 6.524
1.753 -0.514 2.175
3.506 2.996 0.350
3.506 -2.996 8.349
5.258 0.514 6.524
5.258 -0.514 2.175
3.506 -5.016 4.000
```

space-group type	Cmce (64)
relative energy among the computed polymorphs	146.2	meV per atom
crystal system	orthorhombic
formation energy from the elements	-0.4528	eV per atom
N(E_F)	14.43	states/eV per cell
energy	-5.048	eV per atom

Entry 3:
DFT (PBE-GGA) results for an optimized crystal structure of BaIrI3.

Structure (POSCAR):
```
BaIrI3
1.0
5.530 0.000 0.000
0.000 5.530 0.000
0.000 0.000 5.530
Ba Ir I
1 1 3
Cartesian
0.000 0.000 0.000
2.765 2.765 2.765
0.000 2.765 2.765
2.765 0.000 2.765
2.765 2.765 0.000
```

space-group type	Pm-3m (221)
crystal system	cubic
N(E_F)	1.21	states/eV per cell
formation energy from raw total energies	-13.40	kcal/mol of atoms
energy	-3.668	eV per atom

Entry 4:
DFT (PBE-GGA) results for an optimized crystal structure of Ba2ZnSb3Pd4.

Structure (POSCAR):
```
Ba2ZnSb3Pd4
1.0
4.739 0.000 0.000
0.000 4.739 0.000
0.000 0.000 10.717
Ba Zn Sb Pd
2 1 3 4
Cartesian
0.000 2.370 2.671
2.370 0.000 8.046
0.000 0.000 5.358
0.000 2.370 9.359
2.370 0.000 1.358
2.370 2.370 5.358
0.000 0.000 0.000
0.000 2.370 6.615
2.370 0.000 4.102
2.370 2.370 0.000
```

space-group type	P-4m2 (115)
crystal system	tetragonal
N(E_F)	4.42	states/eV per cell
formation energy from raw total energies	-17.61	kcal/mol of atoms
energy	-4.590	eV per atom

Entry 5:
DFT (PBE-GGA) results for an optimized crystal structure of DyPd2Pb.

Structure (POSCAR):
```
DyPd2Pb
1.0
4.695 0.000 0.000
0.000 4.695 0.000
0.000 0.000 3.781
Dy Pd Pb
1 2 1
Cartesian
0.000 0.000 0.000
0.000 2.348 1.891
2.348 0.000 1.891
2.348 2.348 0.000
```

space-group type	P4/mmm (123)
crystal system	tetragonal
formation energy from the elements	-0.6025	eV per atom
N(E_F)	2.93	states/eV per cell
energy	-5.277	eV per atom

Entry 6:
DFT (PBE-GGA) results for an optimized crystal structure of Sm4DyTm5.

Structure (POSCAR):
```
Sm4DyTm5
1.0
-5.130 5.130 3.097
5.130 -5.130 3.097
********

Please explain why or why not.

“It is a well-though out product and correlates directly with the Common Core Standards. It is scripted which can help teachers who feel overwhelmed with teaching Writing. I can see experienced Writing teachers not liking it because of the exclusiveness of it. I personally loved it and the students seemed to enjoy the writing experiences that they did! Great product!”

“YES, I would recommend this product. Teachers would have to give up their “own ways of doing things” in order to follow the scripted layout of the program, but it did correlate really well with the Common Core Standards. In Virginia we don’t use Common Core, so if we used this we would have to convert everything to the Virginia Standards of Learning, but I think it would be well worth the effort. Or maybe the company already has a correlation done for us! That would be worth looking into.”

“I would recommend this product to other teachers because I believe my students’ writing has improved due to using this product. It is correlated to the common core, which will be helpful next year!”

“Yes I would definitely recommend this product to another kindergarten teacher. Writing is a subject that is often hard to come up with ideas for or how to teach to children who come into our classes having never written before. This product is an excellent resource for how to start writing with those students and push them to grow as writers.”

“I would definitely recommend this product to any teacher. I believe the materials that were given were wonderful. I love that it also has a website with more resources that are available to teachers. You can definitely tell that this product was made by teachers.”

“I would definitely recommend this product to other teachers. It is very easy for both the students and the teacher to use for writing. I loved it!”
